Data =
=====
# 1
The following is a DFT calculation (ωB97M-V/def2-TZVPD) of 7 unconnected molecules or ions with the total composition C61H136N5O4P2 in a non-equilibrium geometry.

XYZ file:
```
208
Properties=species:S:1:pos:R:3
P 18.07834 -6.83828 -9.50316
O 16.86691 -6.51590 -8.57640
O 19.32706 -7.43657 -8.79088
O 18.52691 -5.50169 -10.20382
O 17.55494 -7.80831 -10.61123
C 13.41066 -5.56496 -5.74366
C 14.10978 -6.21984 -4.54637
C 15.64132 -6.23601 -4.60340
C 16.19885 -7.36904 -5.45302
N 17.65352 -7.69018 -5.20609
C 18.00084 -8.14319 -3.79351
C 19.46614 -7.77289 -3.58579
C 19.85768 -6.88368 -4.78656
C 18.54141 -6.48811 -5.43712
C 18.04824 -8.75208 -6.15321
H 13.68057 -6.04438 -6.68386
H 13.54838 -4.48519 -5.74984
H 12.33688 -5.73857 -5.62989
H 13.75200 -7.24600 -4.43982
H 13.78720 -5.66401 -3.66686
H 15.89466 -6.38771 -3.54744
H 16.08928 -5.28267 -4.88410
H 16.10346 -7.08287 -6.50754
H 15.73138 -8.32829 -5.21742
H 17.68606 -9.18409 -3.74864
H 17.29658 -7.58708 -3.17902
H 20.13062 -8.63313 -3.59356
H 19.51257 -7.27096 -2.62342
H 20.45693 -7.41389 -5.52211
H 20.35733 -5.97997 -4.44348
H 18.55036 -6.32455 -6.52033
H 18.06140 -5.63553 -4.96327
H 17.41652 -9.63566 -6.05757
H 19.09239 -9.01917 -6.01125
H 17.96451 -8.37291 -7.17615
C 24.58544 -8.99236 -10.19442
C 23.43211 -9.35448 -9.27855
C 22.36650 -10.21617 -9.95897
C 21.12901 -10.26050 -9.08708
N 19.87064 -10.74756 -9.80372
C 18.67802 -10.63662 -8.87835
C 17.91144 -11.95666 -9.02507
C 18.54962 -12.68368 -10.20267
C 19.98640 -12.22066 -10.06440
C 19.63255 -9.97582 -11.05248
H 25.38668 -8.49377 -9.65410
H 24.24425 -8.42629 -11.06894
H 25.02766 -9.86973 -10.67831
H 22.98054 -8.47207 -8.81045
H 23.81502 -9.90099 -8.40894
H 22.77262 -11.22707 -10.05561
H 22.12651 -9.85008 -10.95392
H 20.79416 -9.24930 -8.80911
H 21.18310 -10.82693 -8.15889
H 18.04298 -9.80612 -9.19373
H 19.06875 -10.41188 -7.89284
H 16.83494 -11.87891 -9.19184
H 17.91747 -12.53714 -8.09800
H 18.15762 -12.35366 -11.16592
H 18.47427 -13.76836 -10.19599
H 20.57966 -12.44199 -10.94831
H 20.40784 -12.68478 -9.17370
H 18.62544 -10.22208 -11.37454
H 20.31894 -10.35322 -11.80744
H 19.72642 -8.92482 -10.78662
C 11.28571 -7.40219 -13.91968
C 12.38384 -8.26190 -13.28643
C 12.28704 -8.36974 -11.77020
C 13.58883 -8.95071 -11.22666
N 13.93802 -8.56613 -9.81093
C 12.83735 -9.04041 -8.90087
C 13.52105 -9.63943 -7.67489
C 14.77598 -10.25235 -8.28544
C 15.20845 -9.27293 -9.38829
C 14.12376 -7.09887 -9.62974
H 11.19491 -6.43401 -13.42866
H 10.31427 -7.89268 -13.80994
H 11.43747 -7.37538 -14.99730
H 13.37200 -7.95997 -13.64576
H 12.30072 -9.24814 -13.76208
H 11.48245 -9.03793 -11.46428
H 12.05443 -7.38433 -11.36458
H 14.46266 -8.77147 -11.85215
H 13.53109 -10.04097 -11.17366
H 12.17636 -8.21840 -8.63535
H 12.22408 -9.80118 -9.38064
H 13.75363 -8.81282 -6.99655
H 12.93201 -10.38907 -7.15554
H 15.57939 -10.46047 -7.58428
H 14.47320 -11.16948 -8.80269
H 15.90417 -8.54342 -8.97084
H 15.67025 -9.78012 -10.22754
H 14.95051 -6.75854 -10.24674
H 14.32158 -6.94475 -8.57758
H 13.18393 -6.62664 -9.90769
C 11.98195 -1.38256 -9.97776
C 12.86234 -2.42833 -9.32238
C 14.30157 -1.94000 -9.19887
C 15.19643 -3.00669 -8.58631
N 16.66659 -2.69166 -8.56570
C 17.00006 -1.27719 -8.06908
C 18.11991 -1.44131 -7.06741
C 17.94325 -2.83668 -6.49408
C 17.36877 -3.64566 -7.65337
C 17.23449 -2.83139 -9.94178
H 12.20280 -1.34739 -11.04888
H 12.15714 -0.37482 -9.59803
H 10.91008 -1.55365 -9.89200
H 12.86779 -3.38579 -9.85161
H 12.51752 -2.64651 -8.30507
H 14.36140 -1.02170 -8.61188
H 14.72989 -1.63999 -10.16362
H 15.10944 -4.00547 -9.01348
H 14.94656 -3.06982 -7.52075
H 17.17394 -0.57007 -8.87021
H 16.08179 -1.02575 -7.53766
H 19.08818 -1.33757 -7.57573
H 18.17247 -0.63891 -6.33262
H 18.88607 -3.23721 -6.12605
H 17.24966 -2.77525 -5.64936
H 18.19384 -4.11387 -8.19001
H 16.78217 -4.49019 -7.30388
H 17.04463 -3.85854 -10.25958
H 18.31743 -2.76570 -9.89418
H 16.79607 -2.10078 -10.61440
C 23.30912 -2.82602 -14.29119
C 22.26750 -2.67426 -13.18972
C 22.59650 -3.53126 -11.98480
=====

Job =
It remains to search the block earlier on for the word "XYZ" and copy each line that has it.

Done =
XYZ file: